...perhaps it's a crap idea? But I've thought about this for some time (I've written about it on here before too) and I can't think of reasons why it wouldn't work for many many types of work. And I'm sure many other people must have thought of it too because it's pretty simple and quite obvious. And some companies and organisations already do it.
It seems to me that satellite offices - by that I mean small local offices of larger companies or organisations - is a simple solution that would help with a number of problems: traffic and transport, quality of life, the environment, massive disparities in house prices and struggling local economies.
So many people drive or struggle on inadequate, unreliable and expensive public transport to the big towns and cities for work because there isn't any work where they live. And companies pay through those nose for large office spaces in the most expensive areas AND lose time and money to traffic and transport issues as well as problems with workers' childcare and ill-health. Meanwhile, businesses in small towns and villages struggle to make ends meet, with many local shops, pubs etc closing all the time.
So why, when many many jobs can be done remotely these days, do we not have more satellite offices in small towns and villages? Or for that matter, in large towns with heavy unemployment. Workers could walk to work or drive short distances, having dropped their kids off at school. Shops, cafes, pubs, restaurants would open up to serve the workers. House prices would start to even out, so those in more 'central' areas would become more affordable whilst those in less central areas or in towns/villages with inadequate transport provision would become more valuable. Quality of life would be hugely improved for spending less time in traffic.
Of course there are many jobs where it's necessary to be on-site for most of the time. But if less people are travelling to central business areas, transport would be somewhat easier. And many jobs would benefit from more localised offices, and can use web conferencing for meetings and paperless electronic fileservers that most employers should be using now anyway.
This also feeds into my uncertainty about HS2: although we desperately need a more modern rail network, HS2 will not provide that; it's not a network - it's just one line. It will make many areas even worse off, some areas even more expensive and will only serve a very thin strip of the country.
I just can't see many reasons why having more satellite offices wouldn't be hugely beneficial and I would estimate that of the people I know, more than 50% of them work in jobs that could be done from a smaller local office. Perhaps the government should be spending £50bn on this scheme instead.
# Inserted here: calculated molecules
(1)
A cluster of 9 separate species, C62H59N2O20 in total. Source: the Open Molecules 2025 dataset; level of theory: ωB97M-V with the def2-TZVPD basis set.

XYZ file:
```
143
Properties=species:S:1:pos:R:3
C 10.261 4.021 -4.068
H 5.823 2.744 -0.394
C 4.749 -5.364 -0.687
C -2.960 -0.517 7.688
C 9.927 -4.856 2.351
C 6.966 -4.301 -0.076
C 2.444 -7.254 6.188
C -7.521 -2.058 -2.531
C 12.095 -3.715 2.445
H -0.593 -3.422 6.460
O 4.723 -7.446 5.633
H -10.210 2.616 -5.231
O -2.418 0.555 5.658
O -1.760 -3.680 8.771
C -2.393 1.276 1.829
C -4.522 -0.234 1.782
H -7.249 -0.864 0.433
H -12.401 3.705 -5.687
C 1.249 -5.340 5.231
C -2.791 -1.583 8.469
H -8.724 2.691 -2.027
C 10.735 2.737 -4.637
H 2.430 -4.004 3.956
O 11.219 2.681 -5.747
H -7.308 0.158 -4.281
C 3.628 -5.589 4.687
C -2.235 5.935 -4.614
C -3.714 7.125 -3.061
H -6.432 3.909 -2.466
H 9.987 -7.015 1.988
C -2.276 -0.411 6.377
H -3.924 7.864 -2.297
H 3.194 -5.120 0.730
O -1.122 5.781 -5.077
H 0.391 -6.871 6.541
H -8.355 6.540 -4.772
H -5.668 2.611 -1.505
H -3.281 -1.679 9.430
H 10.372 4.896 -4.695
C 3.690 -6.818 5.513
C 10.061 1.586 -2.579
O 4.551 -3.743 2.464
O 0.216 -4.711 5.111
H 9.375 5.011 -2.419
C -10.426 6.552 -5.219
C -1.912 -2.707 8.058
H -4.883 1.111 0.042
C 4.542 1.569 0.939
H 10.243 -2.716 2.695
C 9.587 2.870 -2.011
C 0.691 0.895 0.818
H 9.949 0.711 -1.951
H -5.459 -1.418 -2.376
C 5.030 -4.142 1.419
H -3.170 4.376 -5.834
O -8.098 -2.264 -3.623
O 9.102 2.926 -0.898
H 2.509 -8.153 6.787
C 4.224 -4.926 0.454
H -3.244 0.200 3.462
H -5.714 -1.486 -0.228
H -8.704 0.246 -1.858
H -4.309 0.732 -5.725
C 6.874 -0.051 1.345
H 12.468 -7.141 1.855
C -7.743 2.175 -2.195
C -6.332 -0.224 -3.926
O -12.711 6.283 -5.713
H -5.190 -0.767 2.500
O -0.149 -0.733 2.307
C 1.310 -6.568 6.056
C -6.319 -0.562 -0.094
C -2.496 6.953 -3.568
H 10.946 0.595 -4.228
C -4.600 5.287 -4.564
H 0.515 1.063 -0.261
H -7.000 3.672 -0.801
H -0.911 -1.436 5.006
H -6.169 1.111 1.282
C -1.401 -1.533 5.969
H -1.647 7.541 -3.246
C 6.904 1.128 0.447
H -5.451 4.697 -4.886
H -3.597 0.312 7.969
C -7.828 0.805 -1.453
C -9.116 4.495 -4.969
H 7.013 -3.290 1.780
C 10.768 -3.647 2.516
H -3.892 -1.017 1.303
C -10.331 3.692 -5.242
H 12.726 -2.843 2.562
C -4.860 6.305 -3.520
C -11.642 5.750 -5.492
O 7.863 -0.739 1.517
H -10.547 7.628 -5.229
H -5.966 -0.981 -4.663
H 7.995 -4.107 -0.351
C -1.231 -2.598 6.747
O -7.792 -2.748 -1.517
C 6.162 -5.084 -1.042
C -6.450 -0.911 -2.519
C 10.594 1.524 -3.797
C -5.449 0.454 0.739
O -8.049 3.965 -4.749
H -8.087 1.045 -0.391
O 3.552 2.250 0.773
H -4.514 0.438 -3.330
H 1.622 0.330 1.013
C 11.945 -6.211 2.034
N -5.319 0.854 -3.796
O 8.716 -4.792 2.414
H 7.845 1.341 -0.041
H 4.177 -5.938 -1.405
C -0.440 0.054 1.461
C -3.645 0.763 2.589
C 6.441 -3.863 1.065
H -5.857 1.754 -5.630
C 12.788 -5.002 2.200
H 4.546 -5.285 4.202
H 5.594 -1.225 2.680
C 5.821 1.880 0.259
H -7.692 2.031 -3.293
C 9.728 4.083 -2.850
C -6.625 3.127 -1.697
O 6.640 -5.483 -2.084
H -4.343 2.326 -4.918
C -9.254 5.971 -4.975
C 2.494 -4.904 4.556
I followed the link here from your comment on CiF.
ReplyDeleteAll that you write is true. It is how things used to be before IT came along. Management has used IT as a tool to centralise and exercise authority and direct control.
And in doing so have failed to understand that effective and efficient networks are distributed and that makes them robust.
It would be great to work out the real cost of commuting in terms of the environment, increased costs of health provision and the effect on children of child care as they go through adulthood.
I can't see it happening. Because the Govt. has bought into the centralisation gig as well.
Distributed networks of workers would build robust and sustainable communities by their presence.